All You Need to Know About Green washing

**Between two parts of the piece: calculated crystals:**
<<<
[1]
The following is a PBE calculation of crystalline NdLu2Sn at its relaxed geometry, from the Alexandria database.

Values from the calculation:
- calculated formation energy (kJ per mole of atoms) = -27.6
- uncorrected energy (eV per atom) = -4.740
- distance to the lowest polymorph of the same formula (kJ per mole of atoms) = 10.0
- density (Mg/m³) = 8.72
- size of the total moment (Bohr magnetons per cell) = 0.0
- volume (Å³/f.u.) = 116.8

Unit cell a=3.7154 b=3.7154 c=8.4587 alpha=90.00 beta=90.00 gamma=90.00
Fractional positions:
Nd1 0.5000 0.5000 0.5000
Lu1 0.0000 0.0000 0.7847
Lu2 0.0000 0.0000 0.2153
Sn1 0.5000 0.5000 0.0000

=====

[2]
The following is a PBE calculation of crystalline KBaRe2 at its relaxed geometry, from the Alexandria database.

Values from the calculation:
- calculated formation energy (kJ per mole of atoms) = 104.6
- uncorrected energy (eV per atom) = -5.895
- distance to the lowest polymorph of the same formula (kJ per mole of atoms) = 41.4
- density (Mg/m³) = 5.42
- size of the total moment (Bohr magnetons per cell) = 0.0
- volume (Å³/f.u.) = 168.1

Unit cell a=7.6828 b=7.6828 c=8.9263 alpha=44.64 beta=44.64 gamma=27.99
Fractional positions:
Re1 0.9763 0.9763 0.2046
Re2 0.5237 0.5237 0.2954
K1 0.2500 0.2500 0.2500
Ba1 0.7500 0.7500 0.7500

=====

[3]
The following is a PBE calculation of crystalline Hf6In2Mo at its relaxed geometry, from the Alexandria database.

Values from the calculation:
- calculated formation energy (kJ per mole of atoms) = 33.4
- uncorrected energy (eV per atom) = -8.101
- density (Mg/m³) = 10.41
- size of the total moment (Bohr magnetons per cell) = 0.0
- volume (Å³/f.u.) = 222.7

Unit cell a=4.6871 b=6.7562 c=8.1451 alpha=114.50 beta=106.71 gamma=90.00
Fractional positions:
Hf1 0.8438 0.6065 0.6871
Hf2 0.1562 0.3935 0.3129
Hf3 0.1562 0.9193 0.3129
Hf4 0.5000 0.2304 0.0000
Hf5 0.8438 0.0807 0.6871
Hf6 0.5000 0.7696 0.0000
Mo1 0.0000 0.0000 0.0000
In1 0.6683 0.6686 0.3372
In2 0.3317 0.3314 0.6628

=====

[4]
The following is a PBE calculation of crystalline Mo3C4 at its relaxed geometry, from the Alexandria database.

Values from the calculation:
- calculated formation energy (kJ per mole of atoms) = 59.5
- uncorrected energy (eV per atom) = -9.296
- distance to the lowest polymorph of the same formula (kJ per mole of atoms) = 1.5
- density (Mg/m³) = 7.04
- size of the total moment (Bohr magnetons per cell) = 0.0
- volume (Å³/f.u.) = 79.2

Unit cell a=4.2953 b=4.2953 c=4.2953 alpha=90.00 beta=90.00 gamma=90.00
Fractional positions:
C1 0.0000 0.5000 0.5000
C2 0.5000 0.5000 0.0000
C3 0.0000 0.0000 0.0000
C4 0.5000 0.0000 0.5000
Mo1 0.0000 0.5000 0.0000
Mo2 0.5000 0.0000 0.0000
Mo3 0.0000 0.0000 0.5000

=====

[5]
The following is a PBE calculation of crystalline LaIn2W at its relaxed geometry, from the Alexandria database.

Values from the calculation:
- calculated formation energy (kJ per mole of atoms) = 49.8
- uncorrected energy (eV per atom) = -5.324
>>>

Turn on the TV, and you'll see every big brand launching new "eco-friendly products." Go out to eat, and all the major chains are suddenly following "eco-friendly practices." Scroll through social media, and every influencer is dishing out "sustainable product ideas."

Too good to be true, right? Well, maybe it is.

A side-effect of increasing climate consciousness is green washing. As more and more people demand sustainable products, some brands try to jump on the “green bandwagon” without putting in the required effort. Let's dive into this unethical practice and avoid these traps!

What is green washing?

First coined in the 1990s, green washing or “green sheen” refers to the practice of companies making false or misleading claims about their environmental impact. It is a form of false advertising that taps into a person’s climate sensibilities to get them to use a product or service.

Let us understand this with an example. Say Company A has a large-scale sunscreen business. Recently, it has been seeing some downtick in sales and its executives feel this could be due to competition from newer, eco-friendly sunscreens. Company A then decides to launch a new line of “beach-safe” sunscreens. The new line highlights the “natural” ingredients of their sunscreen and says that it is safe to use on the beach. 

However, this company did not make any changes to its existing product and was careful not to give any information about the effect of using its sunscreen in water. This is because chemicals in conventional sunscreens can harm marine plants and animals. This new, clever advertising tone of the company would be categorized as green washing.

Unrelated to this page: crystal structures =
____________
Entry 1:
The following is a PBE calculation of an optimized crystal structure of CaCd4Au2, from Alexandria.

Calculated values
Polymorph energy (0 for the lowest one), eV/atom: 0.039
Energy of formation from the pure elements, eV per atom: -0.33

Unit cell a=4.270 b=17.732 c=4.332 alpha=90.00 beta=90.00 gamma=90.00
Sites, in units of the cell vectors:
Ca  0.000  0.000  0.000
Ca  0.500  0.500  0.000
Cd  0.000  0.182  0.500
Cd  0.000  0.319  0.000
Cd  0.000  0.681  0.000
Cd  0.000  0.818  0.500
Cd  0.500  0.181  0.000
Cd  0.500  0.318  0.500
Cd  0.500  0.682  0.500
Cd  0.500  0.819  0.000
Au  0.000  0.424  0.500
Au  0.000  0.576  0.500
Au  0.500  0.076  0.500
Au  0.500  0.924  0.500



Entry 2:
The following is a PBE calculation of an optimized crystal structure of Ca12CdAu5, from Alexandria.

Calculated values
Energy of formation from the pure elements, eV per atom: -0.53

Unit cell a=8.990 b=8.990 c=8.990 alpha=114.86 beta=111.07 gamma=102.72
Sites, in units of the cell vectors:
Ca  0.049  0.239  0.810
Ca  0.176  0.282  0.458
Ca  0.176  0.718  0.893
Ca  0.339  0.030  0.690
Ca  0.339  0.649  0.310
Ca  0.429  0.239  0.190
Ca  0.571  0.761  0.810
Ca  0.661  0.351  0.690
Ca  0.661  0.970  0.310
Ca  0.824  0.282  0.107
Ca  0.824  0.718  0.542
Ca  0.951  0.761  0.190
Cd  0.500  0.500  0.000
Au  0.000  0.000  0.000
Au  0.132  0.632  0.500
Au  0.326  0.000  0.326
Au  0.674  0.000  0.674
Au  0.868  0.368  0.500



Entry 3:
The following is a PBE calculation of an optimized crystal structure of Ca11Cd9Au4, from Alexandria.

Calculated values
Energy of formation from the pure elements, eV per atom: -0.49

Unit cell a=13.633 b=13.633 c=3.784 alpha=90.00 beta=90.00 gamma=113.72
Sites, in units of the cell vectors:
Ca  0.000  0.000  0.000
Ca  0.071  0.414  0.000
Ca  0.161  0.839  0.000
Ca  0.296  0.296  0.000
Ca  0.365  0.635  0.000
Ca  0.414  0.071  0.000
Ca  0.586  0.929  0.000
Ca  0.635  0.365  0.000
Ca  0.704  0.704  0.000
Ca  0.839  0.161  0.000
Ca  0.929  0.586  0.000
Cd  0.067  0.213  0.500
Cd  0.154  0.634  0.500
Cd  0.213  0.067  0.500
Cd  0.366  0.846  0.500
Cd  0.500  0.500  0.500
Cd  0.634  0.154  0.500
Cd  0.787  0.933  0.500
Cd  0.846  0.366  0.500
Cd  0.933  0.787  0.500
Au  0.253  0.450  0.500
Au  0.450  0.253  0.500
Au  0.550  0.747  0.500
Au  0.747  0.550  0.500



no.,DOS(E_F) (states/eV per atom)
1,0.45
2,0.81
3,0.68

~~~~~

# 1
Below is a relaxed Ce3Er2S8 crystal, with properties calculated at the PBE level.

```
data_Ce3Er2S8
_cell_length_a 13.885
_cell_length_b 8.187
_cell_length_c 7.116
_cell_angle_alpha 90.00
_cell_angle_beta 111.81
_cell_angle_gamma 90.00
_space_group_name_H-M_alt 'C 1 2/m 1'
_space_group_IT_number 12
loop_
_space_group_symop_operation_xyz
'x,y,z'
'-x,-y,-z'
'-x,y,-z'
'x,-y,z'
'x+1/2,y+1/2,z'
'-x+1/2,-y+1/2,-z'
'-x+1/2,y+1/2,-z'
'x+1/2,-y+1/2,z'
loop_
_atom_site_label
_atom_site_fract_x
_atom_site_fract_y
_atom_site_fract_z
Ce1 0.000 0.000 0.000
Ce2 0.000 0.256 0.500
Er1 0.243 0.500 0.461
S1 0.118 0.000 0.744
____________

This example also helps us understand something important about this practice – green washers often spend more money on marketing and advertising than they do on finding environmentally friendly alternatives.

This practice is widespread and often very convincing. Many consumers are concerned about the environment and want to support businesses doing their part to protect it. As a result, this tactic can be very effective in persuading people to buy a product or use a service.

So, how does green washing affect consumers? 

Green washing is misleading and can ultimately do more harm than good. Here are some of the ways in which this practice negatively affects consumers: -

### Between two parts of the article: materials data
A plane-wave DFT calculation with PBE+U was carried out for an optimized crystal structure of FeBiSb2O.

- raw total energy (Ha/atom) = -0.167
- SG = P4/mmm, No. 123
- ρ (g cm⁻³) = 7.46

Unit cell a=5.6669 b=5.6669 c=3.6342 alpha=90.00 beta=90.00 gamma=90.00
With the nearest neighbours (Å) after each atom.
Positions (direct):
1 Fe 0.0000 0.0000 0.0000  2 O 1.82
2 Bi 0.5000 0.5000 0.5000  8 Sb 3.37, 2 Bi 3.63
3 Sb 0.0000 0.5000 0.0000  2 Fe 2.83
4 Sb 0.5000 0.0000 0.0000  2 Fe 2.83
5 O 0.0000 0.0000 0.5000  2 Fe 1.82

* * * * *

--- i ---
{"formula": "Nd6Sm2Ho", "functional": "GGA-PBE", "state": "optimized geometry", "crystal_system": "orthorhombic", "spacegroup": "Cmmm (65)", "total_magnetization_mub_per_atom": 0.0000, "cell": [[-1.6186, -1.9701, -2.6385], [7.7014, -6.5911, 0.1971], [0.3029, -8.2085, 5.9433]], "species": ["Nd", "Nd", "Nd", "Nd", "Nd", "Nd", "Sm", "Sm", "Ho"], "fractional_positions": [[0.0000, 0.5107, 0.1604], [0.0000, 0.8396, 0.4893], [0.0000, 0.4893, 0.8396], [0.5000, 0.6843, 0.3157], [0.0000, 0.1604, 0.5107], [0.5000, 0.3157, 0.6843], [0.5000, 0.1764, 0.1764], [0.5000, 0.8236, 0.8236], [0.0000, 0.0000, 0.0000]]}



--- ii ---
{"formula": "Nd6Sm2Ho", "functional": "GGA-PBE", "state": "optimized geometry", "crystal_system": "tetragonal", "spacegroup": "P4_2/mnm (136)", "total_magnetization_mub_per_atom": 0.0000, "cell": [[8.2961, 0.0000, 0.0000], [0.0000, 8.2961, 0.0000], [0.0000, 0.0000, 10.5730]], "species": ["Nd", "Nd", "Nd", "Nd", "Nd", "Nd", "Nd", "Nd", "Nd", "Nd", "Nd", "Nd", "Sm", "Sm", "Sm", "Sm", "Ho", "Ho"], "fractional_positions": [[0.2620, 0.2620, 0.3331], [0.7380, 0.7380, 0.3331], [0.2380, 0.7620, 0.8331], [0.7620, 0.2380, 0.8331], [0.2380, 0.7620, 0.1669], [0.7620, 0.2380, 0.1669], [0.2620, 0.2620, 0.6669], [0.7380, 0.7380, 0.6669], [0.2614, 0.2614, 0.0000], [0.7386, 0.7386, 0.0000], [0.2386, 0.7614, 0.5000], [0.7614, 0.2386, 0.5000], [0.0000, 0.0000, 0.3319], [0.5000, 0.5000, 0.8319], [0.5000, 0.5000, 0.1681], [0.0000, 0.0000, 0.6681], [0.0000, 0.0000, 0.0000], [0.5000, 0.5000, 0.5000]]}



It is ii that is the least stable of them.



--- i ---
{"formula": "Nd4SmHo2", "functional": "GGA-PBE", "state": "optimized geometry", "crystal_system": "orthorhombic", "spacegroup": "Fdd2 (43)", "total_magnetization_mub_per_atom": 0.0000, "cell": [[-9.8438, 6.4274, 4.5740], [6.5055, -10.7550, -1.0685], [4.8941, 3.6309, 3.1243]], "species": ["Nd", "Nd", "Nd", "Nd", "Nd", "Nd", "Nd", "Nd", "Sm", "Sm", "Ho", "Ho", "Ho", "Ho"], "fractional_positions": [[0.7154, 0.1780, 0.8693], [0.1780, 0.7154, 0.3693], [0.1858, 0.7938, 0.9002], [0.7938, 0.1858, 0.4002], [0.0360, 0.1442, 0.6001], [0.5592, 0.5964, 0.1318], [0.5964, 0.5592, 0.6318], [0.1442, 0.0360, 0.1001], [0.4232, 0.6733, 0.5000], [0.6733, 0.4232, 0.0000], [0.6227, 0.3048, 0.4495], [0.9233, 0.1051, 0.0505], [0.1051, 0.9233, 0.5505], [0.3048, 0.6227, 0.9495]]}



--- ii ---

  • Companies can sometimes increase the price of a product by falsely marketing it as "sustainable."
  • It can undermine the efforts of consumers and businesses to make more sustainable choices. It can also create confusion about what products are better for the environment.
  • A customer may use a greenwashed product thinking they're protecting the planet. This can lead to false complacency and a lack of action, where the customer may stop seeking a genuinely green product.
  • Finally, false green labels can undermine trust in the process. When consumers feel that they are being repeatedly cheated, they are less likely to believe claims of even genuinely sustainable products.

False advertisements are not only harmful to genuinely concerned customers, but they also hurt new businesses like Beco. We at Beco have put in the time and effort to come up with a wide range of eco-friendly bamboo products that are not only better for the planet, but are also good for users. Shop now!

Why do companies engage in green washing? 

Companies engage in this practice for a variety of reasons. Some companies may do it to increase their profits, while others may do it to improve their public image. Still, others may do it to acquire new customers.

Companies add a green sheen to their products because finding the right solutions and implementing them can be difficult and expensive. Instead, buzzwords like "net zero" or "carbon neutral", can easily be thrown around. Corporations already have big marketing budgets, so spending on ads is not a big deal!

Types of green washing

Over the years, some big brands have been accused of adding a green sheen to their products. Many companies have tried different tactics to mislead climate-conscious consumers, giving rise to a variety of green-washed goods. Here are some types that you should watch out for: - 

  1. A claim too good to be true, or something blatantly misleading.
  2. Trying to distract from the company's existing environmental impact through some auxiliary action. For example, a thermal power plant claiming to be "green" after organizing a plantation drive.
  3. A product with misleading imagery without even making a direct claim of being sustainable. Companies can add a misleading logo, false visuals, or a deceiving package to make their products look eco-friendly. 
  4. Concealing the fine print by downplaying important details. Like we saw in the case of the hypothetical sunscreen company that used a clever play of words to conceal the fact. 

We hope this list will help you peel off a green sheen when you next spot it. 

How to avoid green washing

To avoid falling into a trap, it is important to be an informed consumer and to do your research before purchasing any product. Here are some easy steps you can follow: -

  1. Ask questions. Don’t take claims at face value.
  2. Look for specific, measurable, and verifiable claims.
  3. Be skeptical of companies that make grandiose claims. Claims like “most sustainable” or the “greenest,” are difficult to verify.
  4. Go for time-tested and indigenous products — sometimes the answer is right in front of you!

Hopefully, with more awareness, we can keep a check on this immoral and misleading practice and promote genuine solutions. So, the next time you find a green claim that is too good to be true, make sure to double-check and make the right choice! Check out our bamboo products from Beco today!